Wanted:
Retype the whole of the entries further below word for word.

Given:
=====
Below is a structure of composition C28H39CrN10OPSSe, with properties calculated with ωB97M-V with the def2-TZVPD basis set.

Structure (XYZ):
```
82
Properties=species:S:1:pos:R:3
H -3.626 3.306 3.164
H -0.836 -1.389 3.428
C -0.241 -3.111 0.315
N -1.718 0.146 4.537
N -2.243 2.217 4.293
C 3.756 -3.702 -2.162
H -1.835 3.611 -0.339
N -0.230 1.198 -3.573
H 5.406 1.169 0.417
H -0.485 1.746 -4.379
H -0.995 0.902 -2.987
H -1.354 0.179 6.669
C -2.304 -3.788 0.609
C -2.691 3.469 3.693
C -1.545 -1.268 4.248
C 0.972 1.418 -2.997
H 4.348 -3.183 -1.413
H -2.332 -0.425 -1.957
H 0.319 -1.428 -4.262
N -1.019 -2.064 0.061
C 3.259 2.128 -2.582
H 0.005 -5.968 0.156
H 6.333 2.649 -1.329
C -2.310 -2.476 0.245
C -1.631 0.733 5.791
C 3.560 -2.632 2.777
N 1.129 -0.484 1.173
C 2.704 1.313 -1.598
C -0.519 -5.523 0.997
H 4.070 -2.273 3.665
N 2.624 -1.592 2.337
C 1.831 -1.611 1.241
P 1.581 -3.087 0.184
C 1.473 0.275 2.253
Se -2.362 0.776 1.809
S 2.111 2.393 -3.854
H -2.496 -1.708 3.953
N 1.360 0.919 -1.847
N 2.536 -2.939 -2.448
H -0.149 2.683 1.181
H 1.057 2.620 -0.120
H -1.173 -1.757 5.145
C 0.166 3.133 0.238
H -3.149 -1.816 0.133
H 3.506 -4.702 -1.815
C -2.651 1.710 -1.668
C -3.149 0.282 -1.753
N -0.991 -4.178 0.652
H 4.334 -3.774 -3.077
H -0.705 3.569 -1.697
H -1.945 3.836 2.990
C -1.958 2.028 5.637
C 5.322 2.275 -1.417
H 0.136 -5.485 1.864
H -1.387 -6.131 1.235
C 1.648 -2.460 -1.548
H 4.951 3.254 -3.295
H -3.108 -4.464 0.843
H 2.930 -0.143 3.886
H 3.122 0.312 0.260
C 3.500 0.955 -0.514
H 2.658 -2.827 -4.583
C -2.101 1.059 3.618
C 2.112 -2.569 -3.693
H 4.297 -2.829 2.002
H -2.573 2.170 -2.661
C 4.794 1.442 -0.432
C 4.554 2.621 -2.512
Cr 0.037 -0.409 -0.676
H -3.879 0.166 -2.552
H -3.616 -0.018 -0.815
C 2.409 -0.402 2.981
H -2.835 4.193 4.490
H 0.435 4.175 0.417
N 0.663 -1.815 -2.183
H 3.027 -3.548 3.018
C 0.952 -1.874 -3.516
O -1.377 1.732 -1.023
C -0.971 3.082 -0.751
H -2.017 2.827 6.353
H 1.040 1.245 2.428
H -3.348 2.316 -1.085
```

Computed properties:
LUMO level (alpha / beta), eV: -4.74 / -4.99
Net charge: +2
Energy relative to the best compared isomer or geometry (same formula, charge and spin), kJ/mol: 0.0
Spin multiplicity: 5
Kohn-Sham gap (alpha / beta), eV: 7.06 / 6.84
=====

Here it is:
Below is a structure of composition C28H39CrN10OPSSe, with properties calculated with ωB97M-V with the def2-TZVPD basis set.

Structure (XYZ):
```
82
Properties=species:S:1:pos:R:3
H -3.626 3.306 3.164
H -0.836 -1.389 3.428
C -0.241 -3.111 0.315
N -1.718 0.146 4.537
N -2.243 2.217 4.293
C 3.756 -3.702 -2.162
H -1.835 3.611 -0.339
N -0.230 1.198 -3.573
H 5.406 1.169 0.417
H -0.485 1.746 -4.379
H -0.995 0.902 -2.987
H -1.354 0.179 6.669
C -2.304 -3.788 0.609
C -2.691 3.469 3.693
C -1.545 -1.268 4.248
C 0.972 1.418 -2.997
H 4.348 -3.183 -1.413
H -2.332 -0.425 -1.957
H 0.319 -1.428 -4.262
N -1.019 -2.064 0.061
C 3.259 2.128 -2.582
H 0.005 -5.968 0.156
H 6.333 2.649 -1.329
C -2.310 -2.476 0.245
C -1.631 0.733 5.791
C 3.560 -2.632 2.777
N 1.129 -0.484 1.173
C 2.704 1.313 -1.598
C -0.519 -5.523 0.997
H 4.070 -2.273 3.665
N 2.624 -1.592 2.337
C 1.831 -1.611 1.241
P 1.581 -3.087 0.184
C 1.473 0.275 2.253
Se -2.362 0.776 1.809
S 2.111 2.393 -3.854
H -2.496 -1.708 3.953
N 1.360 0.919 -1.847
N 2.536 -2.939 -2.448
H -0.149 2.683 1.181
H 1.057 2.620 -0.120
H -1.173 -1.757 5.145
C 0.166 3.133 0.238
H -3.149 -1.816 0.133
H 3.506 -4.702 -1.815
C -2.651 1.710 -1.668
C -3.149 0.282 -1.753
N -0.991 -4.178 0.652
H 4.334 -3.774 -3.077
H -0.705 3.569 -1.697
H -1.945 3.836 2.990
C -1.958 2.028 5.637
C 5.322 2.275 -1.417
H 0.136 -5.485 1.864
H -1.387 -6.131 1.235
C 1.648 -2.460 -1.548
H 4.951 3.254 -3.295
H -3.108 -4.464 0.843
H 2.930 -0.143 3.886
H 3.122 0.312 0.260
C 3.500 0.955 -0.514
H 2.658 -2.827 -4.583
C -2.101 1.059 3.618
C 2.112 -2.569 -3.693
H 4.297 -2.829 2.002
H -2.573 2.170 -2.661
C 4.794 1.442 -0.432
C 4.554 2.621 -2.512
Cr 0.037 -0.409 -0.676
H -3.879 0.166 -2.552
H -3.616 -0.018 -0.815
C 2.409 -0.402 2.981
H -2.835 4.193 4.490
H 0.435 4.175 0.417
N 0.663 -1.815 -2.183
H 3.027 -3.548 3.018
C 0.952 -1.874 -3.516
O -1.377 1.732 -1.023
C -0.971 3.082 -0.751
H -2.017 2.827 6.353
H 1.040 1.245 2.428
H -3.348 2.316 -1.085
```

Computed properties:
LUMO level (alpha / beta), eV: -4.74 / -4.99
Net charge: +2
Energy relative to the best compared isomer or geometry (same formula, charge and spin), kJ/mol: 0.0
Spin multiplicity: 5
Kohn-Sham gap (alpha / beta), eV: 7.06 / 6.84